Contents:
........
Starting from a crystal structure in the Materials Project, relaxed with PBE+U, the X-ray diffraction stick pattern of Ba2SrMgWO6 was computed for CuKα.
Lines closer than 0.1° are merged.

Atomic structure:
Unit cell a=6.0653 b=6.0653 c=7.1099 alpha=120.48 beta=120.48 gamma=59.41
Fractional coordinates of all 11 atoms:
Ba 0.0000 0.0000 0.0000
Ba 0.5434 0.5434 0.6720
Sr 0.3705 0.3705 0.0457
Mg 0.1411 0.1411 0.5193
W 0.8323 0.8323 0.4217
O 0.0413 0.5538 0.6154
O 0.0828 0.0828 0.7380
O 0.1495 0.7168 0.3091
O 0.5538 0.0413 0.6154
O 0.6203 0.6203 0.1176
O 0.7168 0.1495 0.3091

Peak list (6 most intense, 10 to 80 degrees two-theta, sorted by position)
2theta	I (rel.)
25.21	32
27.49	48
29.59	100
29.72	55
30.19	59
39.36	37

~~~~~

Record 1
Simulated PXRD pattern of CsAuC2S2N2 for Cu Kα, from DFT lattice parameters and positions (GGA-PBE).
Peak positions follow from Bragg's law for the DFT cell and can differ from measured ones.

Top 10 peaks for 10 to 90 degrees two-theta, low angle first:
hkl 0 0 2, 10.3°, d 8.570, I 76
hkl 2 0 0, 14.0°, d 6.331, I 44
hkl 2 0 -2, 14.7°, d 6.015, I 75
hkl 2 0 2, 19.7°, d 4.495, I 100
hkl 2 0 -4, 21.3°, d 4.168, I 78
hkl 3 1 0, 25.2°, d 3.534, I 44
hkl 4 0 -2, 27.0°, d 3.305, I 64
hkl 4 0 0, 28.1°, d 3.171, I 92
hkl 0 2 2, 29.6°, d 3.022, I 51
hkl 0 0 6, 31.3°, d 2.857, I 59

Unit cell a=13.257 b=6.462 c=17.947 alpha=90.00 beta=107.24 gamma=90.00
Space group C2/c (No. 15)
One atom of each set of equivalent atoms:
Cs  0.181  0.009  0.064 (multiplicity 8)
Au  0.000  0.167  0.250 (multiplicity 4)
Au  0.000  0.335  0.750 (multiplicity 4)
C  0.024  0.445  0.412 (multiplicity 8)
C  0.226  0.054  0.348 (multiplicity 8)
S  0.026  0.310  0.884 (multiplicity 8)
S  0.180  0.177  0.264 (multiplicity 8)
N  0.025  0.274  0.434 (multiplicity 8)
N  0.238  0.479  0.090 (multiplicity 8)

Record 2
Simulated PXRD pattern of Sc4CuAuC2 for Cu Kα, from DFT lattice parameters and positions (GGA-PBE).
Peak positions follow from Bragg's law for the DFT cell and can differ from measured ones.

Top 10 peaks for 10 to 90 degrees two-theta, low angle first:
hkl 0 0 2, 13.4°, d 6.589, I 31
hkl 1 0 0, 30.4°, d 2.944, I 29
hkl 1 0 1, 31.1°, d 2.873, I 26
hkl 1 0 2, 33.3°, d 2.688, I 25
hkl 1 0 3, 36.7°, d 2.446, I 100
hkl 0 0 6, 41.1°, d 2.196, I 20
hkl 1 0 6, 51.9°, d 1.760, I 16
hkl 1 1 0, 53.9°, d 1.700, I 22
hkl 2 0 3, 67.1°, d 1.396, I 16
hkl 1 1 6, 70.0°, d 1.344, I 18

Unit cell a=3.3994 b=3.3994 c=13.1788 alpha=90.00 beta=90.00 gamma=120.00
Space group P-6m2 (No. 187)
One atom of each set of equivalent atoms:
Sc  0.0000  0.0000  0.1527 (multiplicity 2)
Sc  0.3333  0.6667  0.3350 (multiplicity 2)
Cu  0.3333  0.6667  0.0000 (multiplicity 1)
Au  0.0000  0.0000  0.5000 (multiplicity 1)
C  0.6667  0.3333  0.2451 (multiplicity 2)
........
Wanted:
Please work out how many lines earlier on have the word "Cs" in them; a number is enough.
Completed:
1